We Allow Them to Blackmail Us — Islam vs. the West By Eileen F. Toplansky The Muslim world does not have to fire a single shot; the Western world is capitulating to the Islamists’ every demand. Three recent events show the continuing and relentless interplay among Islamists worldwide. The latest assault is playing out in […] Child bride horrors last a lifetime By Mohammed Jamjoom, CNN October 1, 2010 3:42 a.m. EDT Age 14 and already divorced in Yemen STORY HIGHLIGHTS Yemen parliament looking again at outlawing child marriage Girl tells how at 11 she was forced to marry a 32-year-old cousin who raped her Rights campaigner says the […]
THANKS TO ATLAS SHRUGS Busy Finish to Busy Month for UK Muslim Rapists, Paedophiles & Pimps ** UPDATED ** In my last blog Busy Month for UK Muslim Rapists, Paedophiles & Pimps I cited nine incidents of said crimes committed against the British people – more specifically in England. The last date was September […] “Winnipeg students” join jihad in Pakistan, local Muslims “stressed” over ongoing investigation There are so many better things to be “stressed” over here than feigning victim-hood over the investigation. At the very least, they could be concerned about their co-religionists whose sons have disappeared on them. Better yet, they could be concerned for the […] By Eileen Sullivan and Matthew LeeWASHINGTON (AP) — The Obama administration is considering telling U.S. citizens to be vigilant as they travel in Europe, updated guidance prompted by fresh al Qaeda threats, American and European officials told The Associated Press on Saturday. Such a move could have negative implications for European tourism if travelers […]
Calculated crystals from another source follow:
# 1
# Ti20H2N17 PBE optimized geometry
# Formation energy: -1.735 eV per atom
data_Ti20H2N17
_chemical_formula_sum 'Ti40 H4 N34'
_cell_length_a 15.621
_cell_length_b 3.008
_cell_length_c 16.940
_cell_angle_alpha 90.00
_cell_angle_beta 105.84
_cell_angle_gamma 90.00
_symmetry_space_group_name_H-M 'C 1 2/m 1'
_symmetry_Int_Tables_number 12
loop_
_symmetry_equiv_pos_as_xyz
'x,y,z'
'-x,-y,-z'
'-x,y,-z'
'x,-y,z'
'x+1/2,y+1/2,z'
'-x+1/2,-y+1/2,-z'
'-x+1/2,y+1/2,-z'
'x+1/2,-y+1/2,z'
loop_
_atom_site_label
_atom_site_fract_x
_atom_site_fract_y
_atom_site_fract_z
_atom_site_occupancy
Ti1 0.001 0.000 0.129 1
Ti2 0.004 0.000 0.376 1
Ti3 0.099 0.500 0.523 1
Ti4 0.100 0.500 0.273 1
Ti5 0.101 0.500 0.779 1
Ti6 0.105 0.500 0.026 1
Ti7 0.200 0.000 0.175 1
Ti8 0.200 0.000 0.923 1
Ti9 0.201 0.000 0.427 1
Ti10 0.204 0.000 0.676 1
H1 0.100 0.500 0.650 1
N1 0.000 0.000 0.251 1
N2 0.000 0.000 0.500 1
N3 0.099 0.500 0.149 1
N4 0.099 0.500 0.400 1
N5 0.099 0.500 0.901 1
N6 0.198 0.000 0.049 1
N7 0.199 0.000 0.799 1
N8 0.200 0.000 0.550 1
N9 0.201 0.000 0.301 1

# 2
# Na3NpH2O6 PBE optimized geometry
# Energy relative to the lowest polymorph listed for this composition: 0 meV/atom
# Formation energy: -2.290 eV per atom
# Total magnetization: 0.00 μB/cell
data_Na3NpH2O6
_chemical_formula_sum 'Na24 Np8 H16 O48'
_cell_length_a 6.063
_cell_length_b 20.525
_cell_length_c 10.334
_cell_angle_alpha 90.00
_cell_angle_beta 90.00
_cell_angle_gamma 90.00
_symmetry_space_group_name_H-M 'F d d 2'
_symmetry_Int_Tables_number 43
_symmetry_space_group_name_Hall 'F 2 -2d'
loop_
_atom_site_label
_atom_site_fract_x
_atom_site_fract_y
_atom_site_fract_z
_atom_site_occupancy
Na1 0.000 0.000 0.000 1
Na2 0.006 0.410 0.840 1
Np1 0.000 0.000 0.666 1
H1 0.011 0.359 0.364 1
O1 0.057 0.317 0.404 1
O2 0.112 0.304 0.785 1
O3 0.114 0.302 0.049 1

# 3
# Na4NpH7O9 PBE optimized geometry
# Formation energy: -1.901 eV per atom
# Total magnetization: 0.02 μB/cell
data_Na4NpH7O9
_chemical_formula_sum 'Na8 Np2 H14 O18'
_cell_length_a 6.042
_cell_length_b 8.172
_cell_length_c 10.999
_cell_angle_alpha 104.19
_cell_angle_beta 101.64
_cell_angle_gamma 105.89
_symmetry_space_group_name_H-M 'P -1'
_symmetry_Int_Tables_number 2
loop_
_symmetry_equiv_pos_as_xyz
'x,y,z'
'-x,-y,-z'
loop_
_atom_site_label
_atom_site_fract_x
_atom_site_fract_y
_atom_site_fract_z
_atom_site_occupancy
Na1 0.025 0.222 0.095 1
Na2 0.107 0.350 0.422 1
Na3 0.292 0.035 0.585 1
Na4 0.445 0.161 0.924 1
Np1 0.137 0.914 0.248 1
H1 0.086 0.323 0.631 1
H2 0.211 0.516 0.894 1
H3 0.259 0.611 0.786 1
H4 0.323 0.569 0.270 1
H5 0.343 0.675 0.618 1
H6 0.425 0.138 0.147 1
H7 0.486 0.456 0.313 1
O1 0.009 0.192 0.597 1
O2 0.076 0.946 0.748 1
O3 0.108 0.274 0.895 1
O4 0.253 0.570 0.638 1
O5 0.260 0.635 0.883 1
O6 0.288 0.031 0.094 1
O7 0.313 0.452 0.283 1
O8 0.353 0.779 0.242 1
O9 0.381 0.104 0.391 1

# 4
# Na3NpH2O6 PBE optimized geometry
# Energy relative to the lowest polymorph listed for this composition: 38 meV/atom
# Formation energy: -2.252 eV per atom
The calculated crystals stop here:
GEERT WILDERS IN BERLIN: “TEAR DOWN THE WALL OF DENIAL AND IGNORANCE ABOUT THE REAL NATURE OF ISLAM” Wilders in Berlin, Invokes Reagan: “Tear Down the Wall of Denial and Ignorance About the Real Nature of Islam” Posted By Andrew Bostom On October 2, 2010 Geert Wilders Berlin Speech, October 2, 2010 [1] (and he quotes Bernard Lewis, from here [2]): Dear Friends, I am very happy to be here in Berlin […] The Naked and Apathetic Vote Obama and his media poodles have announced that a new crisis is upon us. Voter apathy. Naturally the apathy is only a crisis because it affects Democratic voters. If voter apathy threatened to keep Republican or Independent voters home, the media would suddenly be running stories about how voting […]
NO DOUBT WE WILL HEAR PRAISE FROM SOME CONSERVATIVE QUARTERS AS WE DID WHEN ROBERT NOVAK DIED. SOBRAN WAS A NASTY ANTI-SEMITE WHO WAS “SKEPTICAL” ABOUT THE HOLOCAUST AND BLAMED 9/11 ON ISRAEL. HE DIED YOUNG WHICH IS ALWAYS TRAGIC BUT I REGRET HIS LIFE AND HIS OEVRE WHICH ALIENATED SO MANY DECENT PEOPLE FROM TRUE CONSERVATISM…..RSK […] By STEVE MOORE ‘Look, we know we screwed up when we were in the majority. We fell in love with power. We spent way too much money—especially on earmarks. There was too much corruption when we ran this place. We were guilty. And that’s why we lost.” That’s the confession of Eric Cantor, the […] THE NETANYAHU GOVERMENT AT ITS HALFWAY POINT: KEEPING THINGS QUIET? By Jonathan Spyer * The key policy challenge put forth by Israeli Prime Minister Benjamin Netanyahu has been the threat of the Iranian nuclear program. Yet there is a sense of contradiction between his bold assertion of dangers that must be stopped (when in […]